### Activity
Please start at the top of the material further below and quote each line, ending with the one that has "1.227 -1.066".

### Source
********
Material: YTc2W
Method: DFT, PBE
State: optimized geometry

Properties
The formation enthalpy at 0 K comes out at 0.34 eV/atom. The value obtained for the volume is 138 Å³/cell. The calculation puts the raw total energy at -38.78 eV per formula unit.

```
8
Lattice="5.879 0.000 0.000 0.000 8.854 0.000 -1.044 0.000 2.656" Properties=species:S:1:pos:R:3 pbc="T T T"
Y 0.000 0.000 0.000
Y 2.940 4.427 0.000
Tc 0.948 2.214 1.328
Tc 0.948 6.641 1.328
Tc 3.887 2.214 1.328
Tc 3.887 6.641 1.328
W 0.000 4.427 0.000
W 2.940 0.000 0.000
```

---

Material: TaCoPt2
Method: DFT, PBE
State: optimized geometry

Properties
The formation enthalpy at 0 K comes out at -0.31 eV/atom. Its energy above the lowest structure with this stoichiometry is 289.9 meV per atom. The value obtained for the volume is 120 Å³/cell. The calculation puts the raw total energy at -32.26 eV per formula unit.

```
8
Lattice="9.124 0.000 0.000 0.000 2.841 0.000 -0.921 0.000 4.638" Properties=species:S:1:pos:R:3 pbc="T T T"
Ta 0.000 0.000 0.000
Ta 4.562 1.420 0.000
Co -0.461 1.420 2.319
Co 4.101 0.000 2.319
Pt 1.546 0.000 3.442
Pt 2.095 1.420 1.196
Pt 6.108 1.420 3.442
Pt 6.657 0.000 1.196
```

---

Material: BaNiGe2Rh
Method: DFT, PBE
State: optimized geometry

Properties
The formation enthalpy at 0 K comes out at -0.56 eV/atom. The value obtained for the volume is 214 Å³/cell. The calculation puts the raw total energy at -27.09 eV per formula unit.

```
10
Lattice="4.115 0.000 0.000 0.000 4.115 0.000 0.000 0.000 12.637" Properties=species:S:1:pos:R:3 pbc="T T T"
Ba 0.000 0.000 0.000
Ba 2.058 2.058 6.319
Ni 0.000 2.058 9.478
Ni 2.058 0.000 3.159
Ge 0.000 0.000 4.440
Ge 0.000 0.000 8.198
Ge 2.058 2.058 1.879
Ge 2.058 2.058 10.758
Rh 0.000 2.058 3.159
Rh 2.058 0.000 9.478
```

---

Material: AcAlSi2Au6
Method: DFT, PBE
State: optimized geometry

Properties
The uncorrected formation energy comes out at -0.15 eV/atom. The value obtained for the volume is 271 Å³/cell. The calculation puts the raw total energy at -39.90 eV per formula unit.

```
10
Lattice="3.370 1.946 6.881 -3.370 1.946 6.881 0.000 -3.891 6.881" Properties=species:S:1:pos:R:3 pbc="T T T"
Ac 0.000 0.000 0.000
Al 0.000 0.000 10.321
Si 0.000 0.000 5.858
Si 0.000 0.000 14.785
Au -1.537 -0.530 8.296
Au -0.310 -1.596 12.347
Au 1.227 -1.066 8.296
Au -1.227 1.066 12.347
Au 0.310 1.596 8.296
Au 1.537 0.530 12.347
```

---

Material: Rb4Zr3CuTe8
Method: DFT, PBE
State: optimized geometry

Properties
The uncorrected formation energy comes out at -0.82 eV/atom. The value obtained for the volume is 541 Å³/cell. The calculation puts the raw total energy at -71.92 eV per formula unit.

```
16
Lattice="7.432 -4.286 0.000 7.432 4.286 0.000 -4.954 0.000 8.498" Properties=species:S:1:pos:R:3 pbc="T T T"
Rb 0.000 0.000 0.000
Rb 3.716 2.143 0.000
Rb 3.716 -2.143 0.000
Rb 7.432 0.000 0.000
Zr -2.477 0.000 4.249
Zr 1.239 2.143 4.249
Zr 1.239 -2.143 4.249
Cu 4.955 0.000 4.249
Te -0.001 0.000 5.918
Te 3.731 2.116 5.819
Te 2.505 0.000 2.676
Te 6.178 2.116 2.679
Te 3.731 -2.116 5.819
Te 7.405 0.000 5.823
Te 6.178 -2.116 2.679
Te 9.911 0.000 2.580
```

---

Material: La5NdMg6
Method: DFT, PBE
State: optimized geometry

Properties
The formation enthalpy at 0 K comes out at -0.12 eV/atom. The value obtained for the volume is 370 Å³/cell. The calculation puts the raw total energy at -40.36 eV per formula unit.

```
12
Lattice="2.793 -8.378 0.000 2.793 8.378 0.000 0.000 0.000 7.914" Properties=species:S:1:pos:R:3 pbc="T T T"
La 0.000 0.000 0.000
La 2.793 2.819 0.000
La 2.793 2.790 3.957
La 2.793 -2.790 3.957
La 2.793 -2.819 0.000
Nd 0.000 0.000 3.957
Mg 2.793 5.609 2.003
Mg 2.793 5.609 5.911
Mg 2.793 0.000 2.002
Mg 2.793 0.000 5.911
Mg 2.793 -5.609 2.003
Mg 2.793 -5.609 5.911
```

---

Material: YGaFe
Method: DFT, PBE
State: optimized geometry

Properties
The formation enthalpy at 0 K comes out at -0.07 eV/atom. The value obtained for the volume is 233 Å³/cell. The calculation puts the raw total energy at -18.17 eV per formula unit.

```
********

### Reply
Material: YTc2W
Method: DFT, PBE
State: optimized geometry

Properties
The formation enthalpy at 0 K comes out at 0.34 eV/atom. The value obtained for the volume is 138 Å³/cell. The calculation puts the raw total energy at -38.78 eV per formula unit.

```
8
Lattice="5.879 0.000 0.000 0.000 8.854 0.000 -1.044 0.000 2.656" Properties=species:S:1:pos:R:3 pbc="T T T"
Y 0.000 0.000 0.000
Y 2.940 4.427 0.000
Tc 0.948 2.214 1.328
Tc 0.948 6.641 1.328
Tc 3.887 2.214 1.328
Tc 3.887 6.641 1.328
W 0.000 4.427 0.000
W 2.940 0.000 0.000
```

---

Material: TaCoPt2
Method: DFT, PBE
State: optimized geometry

Properties
The formation enthalpy at 0 K comes out at -0.31 eV/atom. Its energy above the lowest structure with this stoichiometry is 289.9 meV per atom. The value obtained for the volume is 120 Å³/cell. The calculation puts the raw total energy at -32.26 eV per formula unit.

```
8
Lattice="9.124 0.000 0.000 0.000 2.841 0.000 -0.921 0.000 4.638" Properties=species:S:1:pos:R:3 pbc="T T T"
Ta 0.000 0.000 0.000
Ta 4.562 1.420 0.000
Co -0.461 1.420 2.319
Co 4.101 0.000 2.319
Pt 1.546 0.000 3.442
Pt 2.095 1.420 1.196
Pt 6.108 1.420 3.442
Pt 6.657 0.000 1.196
```

---

Material: BaNiGe2Rh
Method: DFT, PBE
State: optimized geometry

Properties
The formation enthalpy at 0 K comes out at -0.56 eV/atom. The value obtained for the volume is 214 Å³/cell. The calculation puts the raw total energy at -27.09 eV per formula unit.

```
10
Lattice="4.115 0.000 0.000 0.000 4.115 0.000 0.000 0.000 12.637" Properties=species:S:1:pos:R:3 pbc="T T T"
Ba 0.000 0.000 0.000
Ba 2.058 2.058 6.319
Ni 0.000 2.058 9.478
Ni 2.058 0.000 3.159
Ge 0.000 0.000 4.440
Ge 0.000 0.000 8.198
Ge 2.058 2.058 1.879
Ge 2.058 2.058 10.758
Rh 0.000 2.058 3.159
Rh 2.058 0.000 9.478
```

---

Material: AcAlSi2Au6
Method: DFT, PBE
State: optimized geometry

Properties
The uncorrected formation energy comes out at -0.15 eV/atom. The value obtained for the volume is 271 Å³/cell. The calculation puts the raw total energy at -39.90 eV per formula unit.

```
10
Lattice="3.370 1.946 6.881 -3.370 1.946 6.881 0.000 -3.891 6.881" Properties=species:S:1:pos:R:3 pbc="T T T"
Ac 0.000 0.000 0.000
Al 0.000 0.000 10.321
Si 0.000 0.000 5.858
Si 0.000 0.000 14.785
Au -1.537 -0.530 8.296
Au -0.310 -1.596 12.347
Au 1.227 -1.066 8.296